If you’re a Maryland resident looking for insurance, you’re in the right place. We’ve compiled all the info you need to help you find home, auto, life, health or long term care insurance right here on this page.
We recommend you read it over, contact the Maryland Insurance Administration at 800-492-6116 with any questions, and let us help you find the coverage you need today.

Auto Insurance
Car insurance protects you from financial losses like car repairs, medical bills and legal services resulting from accidents. But finding the right insurance plan can be tricky. More than 200 auto insurance companies are licensed to sell insurance in your state, so it’s important to comparison shop regarding both price and coverage.
All Maryland drivers must purchase certain minimum amounts of auto insurance coverage. Many buy additional coverage—or more than the required minimums—as additional protection, but only these types and amounts are legally necessary:
- Bodily Injury Liability: $20,000 per person, $40,000 per accident and $15,000 property damage
- Uninsured/Underinsured Motorist: Same minimums as bodily injury liability
### Records of molecules from another source follow
____________
<i>
Entry from the OMol25 dataset: 3 unconnected molecules or ions with the total composition C2H4O3S (ωB97M-V with the def2-TZVPD basis set).

Computed properties:
molecular weight = 108.1 g mol⁻¹
LUMO energy = -0.75 eV
Kohn-Sham gap = 10.2 eV
highest occupied orbital energy = -10.9 eV

CARTESIAN COORDINATES (ANGSTROEM)
C 2.9274 -0.8368 1.0207
C 1.8645 -1.0372 0.4951
O -0.2878 1.2002 -2.2889
O -2.1793 2.0454 -1.0276
O -1.7399 -0.4226 0.4202
S -1.6080 0.9564 -1.8392
H 3.6876 -0.8909 1.6945
H 1.0077 -0.8645 -0.1268
H -1.0886 -0.1432 1.0234
H -2.5837 -0.0067 0.6286



<ii>
Entry from the OMol25 dataset: 2 unconnected molecules or ions with the total composition C2H4O3S (ωB97M-V with the def2-TZVPD basis set).

Computed properties:
molecular weight = 108.1 g mol⁻¹
LUMO energy = -0.88 eV
Kohn-Sham gap = 9.4 eV
SMILES string = O=CC(=O)S.O
highest occupied orbital energy = -10.3 eV

CARTESIAN COORDINATES (ANGSTROEM)
O 1.1865 -1.7011 0.2311
C 1.2701 -0.5020 0.3195
C 0.1960 0.3791 0.9167
O 0.3617 1.5808 1.0539
S -1.2567 -0.5274 1.3500
H 1.9885 0.0797 -0.2672
H -0.7889 -1.6448 1.0037
O -0.6563 1.0158 -1.5714
H -1.0179 0.3263 -2.2129
H -1.2830 0.9937 -0.8234



<ii> wins, 0.0703 hartree ahead of the next structure.

* * * * *

# 1
____________
- Personal Injury Protection (PIP): $2,500 (May be waived, depending on your health care coverage)
A licensed insurance agent can help you make sense of these coverages and explain them in further detail.
Health Insurance
Maryland residents are most commonly insured through a group plan sponsored by their employers. Unfortunately, those who are self-employed, between jobs or not covered by an employer may find it difficult to find good coverage.
Health insurance generally comes in two types of plans: group and individual. Typically, an employer offers its employees health insurance through a group plan, whereas those purchasing health care plans on their own from an agent or company purchase an individual health plan.
Health insurance companies consider several factors when determining whether or not you are insurable. Some of these factors include your health, habits and lifestyle, and occupation.
The chances you will become ill increase with age, so the older you are when purchasing a health insurance plan, the higher your premium. Smoking, drinking and other habits can also result in health problems and rate increases.
Certain health conditions may cause your application for medical insurance to be rejected. Heart disease, cancer, diabetes, epilepsy, stroke, alcoholism and AIDS are among these maladies.
If you have one of these diseases and are searching for affordable health coverage, talk to a licensed agent or company to determine if any state-funded programs exist that can help provide you health insurance.
Home Insurance
Home insurance protects you and your family against loss from theft, fire, accident and other calamities that happen in homes across the country daily. Eventually, most everyone will be touched by at least one of these situations in some way, so it is important to prepare now, rather than waiting until disaster strikes.
If you finance your home, the bank will require you to insure it for at least the amount of your home loan. Most insurance policies require insurance coverage of at least 80 percent of your home’s replacement value.
In addition, your homeowners policy protects you from financial strain by paying for any bodily injury or property damage situation in which you are held liable.
Most insurers offer the following standard types of home coverage:
Broad Form (HO-2)—covers only specifically listed “perils” (causes of loss)
Special Form (HO-3) —the most purchased policy. Offers property and liability coverage against all losses on your home and property, except those specifically excluded.
Tenants Form (HO-4) —provides coverage for your personal property in a rental situation. Does not cover the building itself.
Condominium Form (HO-6) —covers your personal property and any owned portion of your condominium.
Attached: records of molecules:
- - -
Entry from the Open Molecules 2025 dataset: 3 unconnected molecules or ions with the total composition C15H26N3O6 in a non-equilibrium geometry (the ωB97M-V functional and the def2-TZVPD basis).

Element x y z (Å)
O: -1.04 0.77 -1.19
O: -1.22 1.38 -5.12
O: 1.46 -5.55 3.37
O: 0.68 2.01 -4.10
O: -0.55 2.71 -0.17
O: 0.66 -3.79 2.26
N: -1.37 -2.62 0.01
N: -0.19 -0.82 0.84
N: -1.22 -2.34 2.37
C: -0.65 0.71 2.78
C: -0.47 0.71 4.11
C: -1.95 4.18 -1.35
C: 1.81 -0.04 -4.05
C: -0.89 -1.87 1.10
C: -1.27 1.95 -1.00
C: 2.80 -3.68 3.64
C: -0.11 -2.95 3.10
C: 0.39 0.01 1.91
C: 1.59 -4.44 3.08
C: -1.14 4.03 -0.08
C: -0.11 1.13 -4.77
C: 1.99 1.46 -3.92
C: 0.66 -0.15 -5.04
C: -2.40 2.74 -1.61
H: 2.38 1.75 -2.94
H: -1.31 4.52 -2.16
H: -0.75 -2.42 -0.78
H: -0.56 -3.58 3.89
H: -2.77 4.88 -1.25
H: 1.14 -0.56 2.47
H: 1.51 -0.46 -3.08
H: 1.01 -0.15 -6.07
H: 2.65 1.87 -4.69
H: 0.54 0.95 4.47
H: -0.35 4.77 0.00
H: -1.52 1.22 2.36
H: 0.97 0.80 1.39
H: 3.74 -4.09 3.26
H: -2.49 2.54 -2.68
H: 2.82 -3.79 4.73
H: 2.72 -0.56 -4.36
H: -3.32 2.50 -1.09
H: -0.02 -0.56 -0.13
H: -2.28 -2.27 -0.28
H: 0.04 -1.02 -4.85
H: 2.68 -2.60 3.44
H: -1.75 4.07 0.82
H: -1.72 -1.65 2.93
H: 0.47 -2.17 3.62
H: -1.25 0.45 4.83

The HOMO energy is -0.4592 hartree. For the relative energy (zero: lowest compared OMol25 entry of this formula, charge and spin), the calculation gives 0.000 eV. The net charge is +1. The calculation puts the HOMO-LUMO gap at 9.034 eV. The total energy comes out at -32723.684 eV.

Entry from the Open Molecules 2025 dataset: a gas-phase ion, C15H26N3OP2S (charge +1) in a non-equilibrium geometry (the ωB97M-V functional and the def2-TZVPD basis).

Element x y z (Å)
S: -1.10 3.16 2.83
P: -0.29 1.45 3.19
P: 1.60 2.02 0.13
O: -3.90 0.51 0.89
N: 2.40 -3.59 0.06
N: -4.99 0.83 -1.69
N: -0.25 0.48 1.70
C: 1.33 -1.62 -0.65
C: -1.16 -1.08 0.14
C: 0.23 -0.57 -0.39
C: 3.16 -2.37 -1.87
C: -4.78 -0.51 -1.11
C: -1.22 -0.32 1.45
C: 3.42 1.70 0.19
C: 3.89 1.44 1.62
C: -3.65 -0.54 -0.06
C: 0.80 0.43 0.64
C: 1.45 -2.68 0.21
C: 2.17 -1.42 -1.71
C: 1.25 2.37 -1.65
C: -2.28 -0.38 -0.67
C: 3.20 -3.41 -0.98
H: 1.02 1.57 3.67
H: -5.91 1.18 -1.48
H: 3.68 0.88 -0.49
H: 0.19 2.29 -1.87
H: -2.30 -0.86 -1.65
H: -4.82 0.43 1.14
H: -2.09 -0.42 2.08
H: 1.62 -0.13 1.11
H: 3.59 0.46 1.99
H: 3.87 -2.30 -2.68
H: 3.47 2.18 2.31
H: -5.70 -0.78 -0.59
H: 1.57 3.40 -1.82
H: 0.78 -2.79 1.06
H: -1.29 -2.14 0.30
H: -1.10 0.75 4.10
H: 3.88 2.62 -0.18
H: 2.08 -0.58 -2.38
H: -2.01 0.66 -0.87
H: 3.97 -4.16 -1.13
H: -4.59 -1.20 -1.93
H: 0.03 -0.19 -1.39
H: -4.29 1.50 -1.39
H: 1.84 1.75 -2.32
H: 4.98 1.49 1.71
H: -3.76 -1.51 0.45

The HOMO energy is -0.4193 hartree. The net charge is +1. The calculation puts the HOMO-LUMO gap at 7.458 eV. The total energy comes out at -51899.749 eV.

Entry from the Open Molecules 2025 dataset: a molecular structure, C15H26N3PtSe in a non-equilibrium geometry (the ωB97M-V functional and the def2-TZVPD basis).

Element x y z (Å)
Pt: -0.32 0.22 -1.10
Se: -0.98 0.99 0.89
N: -0.84 1.47 -3.12
- - -
Back to the entry:
Market Value or Older Homes Form—Insures your home based on “market value,” (what it would have sold for just before the damage occurred.)
These policies offer varying amounts of protection against property damage, liability, medical payments and additional living expenses. Talk to a licensed, qualified Maryland home insurance agent to determine what protection levels you need.
Life Insurance
Life insurance helps bridge the gap between your dependents’ financial needs and monies available to them through other sources in the event of your death.
Determining the right amount of coverage to buy can be a difficult process. Some insurance experts recommend purchasing five to ten times your annual income in life insurance protection. However, sometimes this amount is not even enough.
The first step is to determine your current need and how much you can afford to spend. Some of the other factors you should consider in making this determination are:
== Unrelated to this entry: records of molecules ==
- - -
ORCA calculation (the ωB97M-V functional and the def2-TZVPD basis) on a molecular structure, C8H23N4O2.

Each line ends with the Löwdin charge.
Geometry (Å):
C: -0.0213 -1.9662 -2.3909  -0.069
C: 0.3109 -2.7067 2.6654  -0.048
C: 3.0039 -0.1182 0.4715  -0.051
C: -1.4552 3.8565 -1.0210  -0.083
C: -0.5901 -0.5672 -2.5281  -0.164
C: -0.5583 -1.7097 1.9066  -0.206
C: -1.4452 1.6314 -0.1982  -0.252
C: 0.6600 0.2110 1.1153  -0.485
N: 1.0469 1.4717 1.5026  0.185
N: 1.5972 -0.5124 0.3615  -0.021
N: -0.6852 0.4341 -0.2818  -0.025
N: 0.0134 0.3521 -1.5154  -0.012
O: -0.6758 2.7297 -0.6776  -0.218
O: -0.0874 -0.3660 2.0580  -0.015
H: -0.2245 -2.3709 -1.4007  0.063
H: -0.4887 -2.6242 -3.1213  0.090
H: 1.0536 -1.9736 -2.5700  0.084
H: 0.3704 -2.4153 3.7123  0.088
H: -0.1345 -3.6963 2.6038  0.088
H: 1.3264 -2.7585 2.2734  0.070
H: 3.6126 -0.8843 -0.0023  0.095
H: 3.1696 0.8244 -0.0462  0.085
H: 3.3174 -0.0014 1.5107  0.098
H: -2.1586 3.6142 -1.8280  0.096
H: -0.7605 4.6207 -1.3629  0.096
H: -2.0150 4.2234 -0.1572  0.097
H: -1.6686 -0.5780 -2.3623  0.128
H: -0.3850 -0.1698 -3.5230  0.127
H: -1.5623 -1.6986 2.3351  0.134
H: -0.6439 -1.9486 0.8434  0.098
H: -2.3632 1.5380 -0.8079  0.132
H: -1.7469 1.7683 0.8474  0.140
H: 0.4073 1.9003 2.1549  0.124
H: 1.3372 2.1028 0.7731  0.110
H: 1.4834 -1.5088 0.5060  0.118
H: 0.9534 -0.0375 -1.2099  0.135
H: 0.1246 1.3099 -1.8970  0.171

The total energy is -18716.5411 eV. The charge is +1. The value obtained for the energy above the lowest of the compared OMol25 structures with the same formula, charge and spin is 0.0 kcal per mole. Its frontier orbital gap is 9.90 eV. The value obtained for the highest occupied orbital energy is -12.235 eV. The LUMO energy is -2.33 eV.
- - -
- Number of dependents
- Marital status
- Income
- Family size
These common-sense tips will help you find the best life insurance policy available in your state at the most affordable price:
- Buy the right amount of life insurance—nothing more, nothing less
- Take good care of yourself, maintaining a healthy weight and exercising
- Buy a policy while you are in good health to avoid preexisting condition exclusions
- Answer all application questions accurately and honestly
- Compare policies carefully, examining both coverage and price
- Don’t sign on the dotted line until you understand all your policy’s provisions
- Verify all agent and company licensing credentials